_To do_
Give back the rows below character by character.
_Excerpt_
+++
Entry 1:
{
  "formula": "C8H27INO5",
  "method": "ωB97M-V with the def2-TZVPD basis set",
  "e_homo_ev": -4.01,
  "multiplicity": 1,
  "total_energy_ev": -28561.4375,
  "total_charge": -1,
  "lumo_ev": 2.65,
  "symbols": ["I", "C", "C", "C", "O", "C", "N", "H", "H", "H", "H", "H", "H", "H", "H", "H", "H", "H", "C", "O", "H", "H", "H", "H", "C", "O", "H", "H", "H", "H", "C", "O", "H", "H", "H", "H", "C", "O", "H", "H", "H", "H"],
  "positions_angstrom": [[-10.1126, -1.8223, 35.7804], [-10.4246, -8.8159, 36.3386], [-10.4791, -8.6662, 37.8430], [-10.2007, -10.0148, 38.5210], [-9.8070, -9.9757, 39.9022], [-9.6141, -11.1876, 40.5537], [-9.5421, -7.6215, 38.2752], [-9.4728, -9.1282, 35.9090], [-10.6309, -7.8737, 35.8308], [-11.1595, -9.5280, 35.9632], [-11.4641, -8.3151, 38.1502], [-9.3796, -10.4989, 37.9923], [-11.0250, -10.7110, 38.3657], [-9.5184, -10.9829, 41.6200], [-8.7280, -11.6349, 40.1033], [-10.4532, -11.8718, 40.4275], [-8.6587, -7.8748, 37.8562], [-9.7193, -6.8576, 37.6387], [-12.9558, -2.3838, 40.8149], [-12.1331, -3.4236, 40.3143], [-12.4353, -1.4264, 40.8393], [-13.8387, -2.3792, 40.1757], [-13.2362, -2.6148, 41.8426], [-12.0593, -3.2898, 39.3665], [-11.7947, -4.6790, 30.9849], [-10.4158, -4.6675, 31.4745], [-11.9112, -4.5237, 29.9123], [-12.2430, -5.6562, 31.1644], [-12.3642, -3.8072, 31.3069], [-10.2233, -3.9125, 32.0354], [-5.7911, -2.1983, 39.5643], [-7.0450, -2.7610, 39.7966], [-5.1278, -2.8793, 40.0975], [-5.5235, -2.1950, 38.5077], [-5.7375, -1.1633, 39.9019], [-7.5627, -2.4352, 39.0567], [-14.7578, 1.2207, 36.9357], [-13.8338, 1.9064, 36.1605], [-15.7063, 1.5682, 36.5262], [-14.7653, 0.1307, 36.9397], [-14.6418, 1.5661, 37.9630], [-13.2167, 1.2878, 35.7628]],
  "atomic_forces_ev_per_a": [[-0.081, -0.027, 0.032], [-0.642, -0.320, -0.899], [0.336, 0.145, 0.766], [1.020, -0.764, 0.472], [-1.199, 1.785, -0.574], [-0.038, -0.048, -0.721], [0.228, -0.208, -0.457], [0.336, -0.168, 0.523], [-0.216, 0.165, 0.216], [-0.180, -0.131, -0.007], [-0.168, -0.083, -0.072], [0.455, -0.021, -0.347], [-0.516, 0.087, 0.179], [0.313, -0.012, -0.129], [0.305, -0.540, 0.434], [-0.256, -0.182, -0.100], [0.812, -0.510, 0.451], [-0.588, 0.831, 0.269], [0.045, -0.479, -0.276], [0.196, -0.099, 0.378], [-0.085, 0.177, -0.246], [-0.322, 0.636, 0.288], [-0.043, -0.196, -0.066], [0.255, -0.010, -0.146], [0.942, 0.713, -0.006], [-1.196, -0.481, -1.060], [0.963, -0.247, -0.481], [-0.097, 0.254, 0.574], [-0.158, -0.392, 0.970], [-0.438, 0.175, 0.098], [0.671, -0.422, 0.173], [-0.807, 0.200, -0.523], [0.593, 0.555, 0.032], [0.070, -0.143, -0.155], [0.230, 0.067, 0.337], [-0.826, -0.250, 0.066], [-1.149, 0.556, 0.445], [1.319, -0.130, -0.877], [-0.562, -0.299, 0.526], [0.479, -0.023, -0.336], [-0.261, -0.143, 0.226], [0.256, -0.017, 0.021]],
  "lowdin_charge": [-0.930, -0.086, -0.432, -0.190, -0.193, -0.135, 0.048, 0.079, 0.082, 0.073, 0.137, 0.115, 0.118, 0.089, 0.083, 0.078, 0.066, 0.069, -0.172, -0.130, 0.073, 0.073, 0.070, 0.069, -0.145, -0.135, 0.055, 0.069, 0.074, 0.063, -0.197, -0.116, 0.075, 0.077, 0.071, 0.069, -0.195, -0.119, 0.069, 0.081, 0.071, 0.077]
}

=====

Entry 2:
{
  "formula": "C8H27N4O11",
  "method": "ωB97M-V with the def2-TZVPD basis set",
  "e_homo_ev": -5.09,
  "relative_energy_ev": 2.566,
  "multiplicity": 1,
  "total_energy_ev": -37208.6857,
  "total_charge": -1,
  "lumo_ev": 2.11,
  "symbols": ["N", "H", "H", "H", "H", "N", "O", "O", "O", "N", "O", "O", "O", "C", "C", "O", "O", "H", "H", "H", "H", "H", "H", "C", "C", "O", "O", "H", "H", "H", "H", "H", "H", "C", "C", "C", "O", "C", "N", "H", "H", "H", "H", "H", "H", "H", "H", "H", "H", "H"],
+++
_Solution_
Entry 1:
{
  "formula": "C8H27INO5",
  "method": "ωB97M-V with the def2-TZVPD basis set",
  "e_homo_ev": -4.01,
  "multiplicity": 1,
  "total_energy_ev": -28561.4375,
  "total_charge": -1,
  "lumo_ev": 2.65,
  "symbols": ["I", "C", "C", "C", "O", "C", "N", "H", "H", "H", "H", "H", "H", "H", "H", "H", "H", "H", "C", "O", "H", "H", "H", "H", "C", "O", "H", "H", "H", "H", "C", "O", "H", "H", "H", "H", "C", "O", "H", "H", "H", "H"],
  "positions_angstrom": [[-10.1126, -1.8223, 35.7804], [-10.4246, -8.8159, 36.3386], [-10.4791, -8.6662, 37.8430], [-10.2007, -10.0148, 38.5210], [-9.8070, -9.9757, 39.9022], [-9.6141, -11.1876, 40.5537], [-9.5421, -7.6215, 38.2752], [-9.4728, -9.1282, 35.9090], [-10.6309, -7.8737, 35.8308], [-11.1595, -9.5280, 35.9632], [-11.4641, -8.3151, 38.1502], [-9.3796, -10.4989, 37.9923], [-11.0250, -10.7110, 38.3657], [-9.5184, -10.9829, 41.6200], [-8.7280, -11.6349, 40.1033], [-10.4532, -11.8718, 40.4275], [-8.6587, -7.8748, 37.8562], [-9.7193, -6.8576, 37.6387], [-12.9558, -2.3838, 40.8149], [-12.1331, -3.4236, 40.3143], [-12.4353, -1.4264, 40.8393], [-13.8387, -2.3792, 40.1757], [-13.2362, -2.6148, 41.8426], [-12.0593, -3.2898, 39.3665], [-11.7947, -4.6790, 30.9849], [-10.4158, -4.6675, 31.4745], [-11.9112, -4.5237, 29.9123], [-12.2430, -5.6562, 31.1644], [-12.3642, -3.8072, 31.3069], [-10.2233, -3.9125, 32.0354], [-5.7911, -2.1983, 39.5643], [-7.0450, -2.7610, 39.7966], [-5.1278, -2.8793, 40.0975], [-5.5235, -2.1950, 38.5077], [-5.7375, -1.1633, 39.9019], [-7.5627, -2.4352, 39.0567], [-14.7578, 1.2207, 36.9357], [-13.8338, 1.9064, 36.1605], [-15.7063, 1.5682, 36.5262], [-14.7653, 0.1307, 36.9397], [-14.6418, 1.5661, 37.9630], [-13.2167, 1.2878, 35.7628]],
  "atomic_forces_ev_per_a": [[-0.081, -0.027, 0.032], [-0.642, -0.320, -0.899], [0.336, 0.145, 0.766], [1.020, -0.764, 0.472], [-1.199, 1.785, -0.574], [-0.038, -0.048, -0.721], [0.228, -0.208, -0.457], [0.336, -0.168, 0.523], [-0.216, 0.165, 0.216], [-0.180, -0.131, -0.007], [-0.168, -0.083, -0.072], [0.455, -0.021, -0.347], [-0.516, 0.087, 0.179], [0.313, -0.012, -0.129], [0.305, -0.540, 0.434], [-0.256, -0.182, -0.100], [0.812, -0.510, 0.451], [-0.588, 0.831, 0.269], [0.045, -0.479, -0.276], [0.196, -0.099, 0.378], [-0.085, 0.177, -0.246], [-0.322, 0.636, 0.288], [-0.043, -0.196, -0.066], [0.255, -0.010, -0.146], [0.942, 0.713, -0.006], [-1.196, -0.481, -1.060], [0.963, -0.247, -0.481], [-0.097, 0.254, 0.574], [-0.158, -0.392, 0.970], [-0.438, 0.175, 0.098], [0.671, -0.422, 0.173], [-0.807, 0.200, -0.523], [0.593, 0.555, 0.032], [0.070, -0.143, -0.155], [0.230, 0.067, 0.337], [-0.826, -0.250, 0.066], [-1.149, 0.556, 0.445], [1.319, -0.130, -0.877], [-0.562, -0.299, 0.526], [0.479, -0.023, -0.336], [-0.261, -0.143, 0.226], [0.256, -0.017, 0.021]],
  "lowdin_charge": [-0.930, -0.086, -0.432, -0.190, -0.193, -0.135, 0.048, 0.079, 0.082, 0.073, 0.137, 0.115, 0.118, 0.089, 0.083, 0.078, 0.066, 0.069, -0.172, -0.130, 0.073, 0.073, 0.070, 0.069, -0.145, -0.135, 0.055, 0.069, 0.074, 0.063, -0.197, -0.116, 0.075, 0.077, 0.071, 0.069, -0.195, -0.119, 0.069, 0.081, 0.071, 0.077]
}

=====

Entry 2:
{
  "formula": "C8H27N4O11",
  "method": "ωB97M-V with the def2-TZVPD basis set",
  "e_homo_ev": -5.09,
  "relative_energy_ev": 2.566,
  "multiplicity": 1,
  "total_energy_ev": -37208.6857,
  "total_charge": -1,
  "lumo_ev": 2.11,
  "symbols": ["N", "H", "H", "H", "H", "N", "O", "O", "O", "N", "O", "O", "O", "C", "C", "O", "O", "H", "H", "H", "H", "H", "H", "C", "C", "O", "O", "H", "H", "H", "H", "H", "H", "C", "C", "C", "O", "C", "N", "H", "H", "H", "H", "H", "H", "H", "H", "H", "H", "H"],